# Excerpt
____________
[1]
A plane-wave DFT calculation with PBE was carried out for a geometry-optimized CsTeH2 structure.

Properties
energy relative to the lowest polymorph listed for this composition	139.5	meV/atom
space-group type	No. 6

Cell lengths 5.030, 5.194, 5.473 Å; angles 90.00, 117.24, 90.00 degrees
Atoms (fractional coordinates):
Cs 0.028 0.000 0.667
H 0.330 0.500 0.101
H 0.157 0.500 0.101
Te 0.718 0.500 0.049

=====

[2]
A plane-wave DFT calculation with PBE was carried out for a geometry-optimized Dy7Y3Tm2 structure.

Properties
energy relative to the lowest polymorph listed for this composition	187.6	meV/atom
space-group type	No. 166
energy of formation from the pure elements	0.276	eV/atom

Cell lengths 6.482, 6.482, 11.624 Å; angles 73.81, 73.81, 60.00 degrees
Atoms (fractional coordinates):
Dy 0.081 0.586 0.747
Dy 0.414 0.919 0.253
Dy 0.500 0.500 0.500
Dy 0.919 0.414 0.253
Dy 0.586 0.081 0.747
Dy 0.586 0.586 0.747
Dy 0.414 0.414 0.253
Y 0.849 0.849 0.454
Y 0.151 0.151 0.546
Y 0.000 0.000 0.000
Tm 0.666 0.666 0.001
Tm 0.334 0.334 0.999

=====

[3]
A plane-wave DFT calculation with PBE was carried out for a geometry-optimized AlPt2Br structure.

Properties
energy relative to the lowest polymorph listed for this composition	527.5	meV/atom
uncorrected formation energy	0.09	eV/atom
space-group type	No. 225

Cell lengths 4.572, 4.572, 4.572 Å; angles 60.00, 60.00, 60.00 degrees
Atoms (fractional coordinates):
Pt 0.250 0.250 0.250
Pt 0.750 0.750 0.750
Al 0.000 0.000 0.000
Br 0.500 0.500 0.500

=====

[4]
A plane-wave DFT calculation with PBE was carried out for a geometry-optimized Pm3GaRu3 structure.

Properties
space-group type	No. 63
energy of formation from the pure elements	-0.349	eV/atom

Cell lengths 4.250, 5.741, 13.569 Å; angles 90.00, 90.00, 111.73 degrees
Atoms (fractional coordinates):
Ru 0.211 0.423 0.250
Ru 0.789 0.577 0.750
Ru 0.083 0.166 0.406
Ru 0.917 0.834 0.906
Ru 0.917 0.834 0.594
Ru 0.083 0.166 0.094
Pm 0.507 0.014 0.250
Pm 0.796 0.593 0.105
Pm 0.204 0.407 0.605
Pm 0.796 0.593 0.395
Pm 0.204 0.407 0.895
Pm 0.493 0.986 0.750
Ga 0.500 0.000 0.500
Ga 0.500 0.000 0.000

=====

[5]
A plane-wave DFT calculation with PBE was carried out for a geometry-optimized TmIn4Pd5 structure.

Properties
space-group type	No. 123
energy of formation from the pure elements	-0.589	eV/atom

Cell lengths 3.368, 3.368, 16.351 Å; angles 90.00, 90.00, 90.00 degrees
Atoms (fractional coordinates):
Tm 0.000 0.000 0.000
Pd 0.500 0.500 0.500
Pd 0.500 0.500 0.304
Pd 0.500 0.500 0.696
Pd 0.500 0.500 0.106
Pd 0.500 0.500 0.894
In 0.000 0.000 0.402
In 0.000 0.000 0.204
In 0.000 0.000 0.598
In 0.000 0.000 0.796

=====

[6]
A plane-wave DFT calculation with PBE was carried out for a geometry-optimized SrGaCoHg2 structure.

Properties
space-group type	No. 123
energy of formation from the pure elements	-0.202	eV/atom

Cell lengths 5.101, 5.101, 4.604 Å; angles 90.00, 90.00, 90.00 degrees
Atoms (fractional coordinates):
Sr 0.500 0.500 0.500
Ga 0.000 0.000 0.500
Co 0.000 0.000 0.000
Hg 0.500 0.000 0.000
Hg 0.000 0.500 0.000

=====

[7]
A plane-wave DFT calculation with PBE was carried out for a geometry-optimized RbNdNiCl6 structure.

Properties
uncorrected formation energy	-1.63	eV/atom
space-group type	No. 149

Cell lengths 6.784, 6.784, 7.299 Å; angles 90.00, 90.00, 60.00 degrees
Each line ends with the local moment (μB).
Atoms (fractional coordinates):
Cl 0.353 0.035 0.699  0.07
Cl 0.612 0.035 0.301  0.07
Cl 0.035 0.612 0.699  0.07
Cl 0.035 0.353 0.301  0.07
Cl 0.612 0.353 0.699  0.07
Cl 0.353 0.612 0.301  0.07
Rb 0.000 0.000 0.000  0.00
Ni 0.333 0.333 0.500  1.51
Nd 0.667 0.667 0.500  0.00

=====

[8]
A plane-wave DFT calculation with PBE was carried out for a geometry-optimized LiPuTeAu structure.

Properties
uncorrected formation energy	-0.67	eV/atom
space-group type	No. 216

Cell lengths 5.107, 5.107, 5.107 Å; angles 60.00, 60.00, 60.00 degrees
Each line ends with the local moment (μB).
Atoms (fractional coordinates):
Te 0.500 0.500 0.500  -0.05
____________

# Assignment
Now copy the lines further up up to the one that holds "0.402", that line included.

# Worked solution
[1]
A plane-wave DFT calculation with PBE was carried out for a geometry-optimized CsTeH2 structure.

Properties
energy relative to the lowest polymorph listed for this composition	139.5	meV/atom
space-group type	No. 6

Cell lengths 5.030, 5.194, 5.473 Å; angles 90.00, 117.24, 90.00 degrees
Atoms (fractional coordinates):
Cs 0.028 0.000 0.667
H 0.330 0.500 0.101
H 0.157 0.500 0.101
Te 0.718 0.500 0.049

=====

[2]
A plane-wave DFT calculation with PBE was carried out for a geometry-optimized Dy7Y3Tm2 structure.

Properties
energy relative to the lowest polymorph listed for this composition	187.6	meV/atom
space-group type	No. 166
energy of formation from the pure elements	0.276	eV/atom

Cell lengths 6.482, 6.482, 11.624 Å; angles 73.81, 73.81, 60.00 degrees
Atoms (fractional coordinates):
Dy 0.081 0.586 0.747
Dy 0.414 0.919 0.253
Dy 0.500 0.500 0.500
Dy 0.919 0.414 0.253
Dy 0.586 0.081 0.747
Dy 0.586 0.586 0.747
Dy 0.414 0.414 0.253
Y 0.849 0.849 0.454
Y 0.151 0.151 0.546
Y 0.000 0.000 0.000
Tm 0.666 0.666 0.001
Tm 0.334 0.334 0.999

=====

[3]
A plane-wave DFT calculation with PBE was carried out for a geometry-optimized AlPt2Br structure.

Properties
energy relative to the lowest polymorph listed for this composition	527.5	meV/atom
uncorrected formation energy	0.09	eV/atom
space-group type	No. 225

Cell lengths 4.572, 4.572, 4.572 Å; angles 60.00, 60.00, 60.00 degrees
Atoms (fractional coordinates):
Pt 0.250 0.250 0.250
Pt 0.750 0.750 0.750
Al 0.000 0.000 0.000
Br 0.500 0.500 0.500

=====

[4]
A plane-wave DFT calculation with PBE was carried out for a geometry-optimized Pm3GaRu3 structure.

Properties
space-group type	No. 63
energy of formation from the pure elements	-0.349	eV/atom

Cell lengths 4.250, 5.741, 13.569 Å; angles 90.00, 90.00, 111.73 degrees
Atoms (fractional coordinates):
Ru 0.211 0.423 0.250
Ru 0.789 0.577 0.750
Ru 0.083 0.166 0.406
Ru 0.917 0.834 0.906
Ru 0.917 0.834 0.594
Ru 0.083 0.166 0.094
Pm 0.507 0.014 0.250
Pm 0.796 0.593 0.105
Pm 0.204 0.407 0.605
Pm 0.796 0.593 0.395
Pm 0.204 0.407 0.895
Pm 0.493 0.986 0.750
Ga 0.500 0.000 0.500
Ga 0.500 0.000 0.000

=====

[5]
A plane-wave DFT calculation with PBE was carried out for a geometry-optimized TmIn4Pd5 structure.

Properties
space-group type	No. 123
energy of formation from the pure elements	-0.589	eV/atom

Cell lengths 3.368, 3.368, 16.351 Å; angles 90.00, 90.00, 90.00 degrees
Atoms (fractional coordinates):
Tm 0.000 0.000 0.000
Pd 0.500 0.500 0.500
Pd 0.500 0.500 0.304
Pd 0.500 0.500 0.696
Pd 0.500 0.500 0.106
Pd 0.500 0.500 0.894
In 0.000 0.000 0.402